Happy Birthday Wendell

Happy birthday to Wendell. And best early-February wishes to everyone. We hope that you will carry Wendell’s smiles with you, on his birth date, February 4, 1931, as well as across the year wherever you may be!

== Unrelated to this article: data records ==
<<<
1.
This record from OQMD describes a relaxed LaAgSb2 crystal. The functional is PBE.

Values from the calculation:
Final energy: -38.02 eV/cell
Magnetization: 0.0 Bohr magnetons per cell
Crystal system: tetragonal
Space group: P4/nmm, No. 129

a = 4.426 Å, b = 4.426 Å, c = 10.853 Å
α = 90.00°, β = 90.00°, γ = 90.00°
Atoms (fractional coordinates):
Sb1 0.250 0.750 0.500
Sb2 0.250 0.250 0.172
Sb3 0.750 0.750 0.828
Sb4 0.750 0.250 0.500
Ag1 0.250 0.750 0.000
Ag2 0.750 0.250 0.000
La1 0.250 0.250 0.739
La2 0.750 0.750 0.261



2.
This record from OQMD describes a relaxed LaAgSb crystal. The functional is PBE.

Values from the calculation:
Final energy: -13.26 eV/cell
Magnetization: 0.0 Bohr magnetons per cell
Crystal system: cubic
Space group: F-43m, No. 216

a = 5.050 Å, b = 5.050 Å, c = 5.050 Å
α = 60.00°, β = 60.00°, γ = 60.00°
Atoms (fractional coordinates):
Sb1 0.750 0.750 0.750
La1 0.000 0.000 0.000
Ag1 0.500 0.500 0.500



3.
This record from OQMD describes a relaxed LaTbAg2Sb4 crystal. The functional is PBE.

Values from the calculation:
Final energy: -37.21 eV/cell
Magnetization: 0.0 Bohr magnetons per cell
Crystal system: tetragonal
Space group: P4mm, No. 99

a = 4.395 Å, b = 4.395 Å, c = 10.626 Å
α = 90.00°, β = 90.00°, γ = 90.00°
Atoms (fractional coordinates):
Ag1 0.000 0.500 0.495
Ag2 0.500 0.000 0.495
Sb1 0.500 0.000 0.008
Sb2 0.500 0.500 0.674
Sb3 0.000 0.500 0.008
Sb4 0.000 0.000 0.316
Tb1 0.500 0.500 0.239
La1 0.000 0.000 0.764



Question: Which of these has the highest final energy?
Answer: LaAgSb

=====

[1]
KNbFeP2: optimized geometry, PBE-GGA.

Cell lengths 4.9361, 4.0315, 4.9361 Å; angles 90.00, 90.00, 90.00 degrees
Last column: nearest neighbours and their distance in Å.
Sites, in units of the cell vectors:
Fe 0.0000 0.5000 0.0000  2 K 2.02
K 0.0000 0.0000 0.0000  2 Fe 2.02
P 0.0000 0.0000 0.5000  2 K 2.47
Nb 0.5000 0.5000 0.5000  8 P 3.19, 4 Fe 3.49
P 0.5000 0.0000 0.0000  2 K 2.47

Values from the calculation:
E: -3.75 eV/atom
space group: No. 123

[2]
KRbNbFe2: optimized geometry, PBE-GGA.

Cell lengths 4.6090, 6.2399, 4.6090 Å; angles 90.00, 90.00, 90.00 degrees
Last column: nearest neighbours and their distance in Å.
Sites, in units of the cell vectors:
Rb 0.0000 0.5000 0.0000  2 Nb 3.12, 4 K 3.26
K 0.5000 0.5000 0.5000  4 Rb 3.26
Fe 0.5000 0.0000 0.0000  2 Nb 2.30
Nb 0.0000 0.0000 0.0000  4 Fe 2.30
Fe 0.0000 0.0000 0.5000  2 Nb 2.30

Values from the calculation:
E: -4.34 eV/atom
space group: No. 123

[3]
KNbFeRe2: optimized geometry, PBE-GGA.

Cell lengths 4.7820, 5.3481, 4.7820 Å; angles 90.00, 90.00, 90.00 degrees
Last column: nearest neighbours and their distance in Å.
Sites, in units of the cell vectors:
Fe 0.5000 0.5000 0.5000  4 K 3.38, 8 Re 3.59
Nb 0.0000 0.0000 0.0000  4 Re 2.39, 2 K 2.67
K 0.0000 0.5000 0.0000  2 Nb 2.67
Re 0.0000 0.0000 0.5000  2 Nb 2.39
Re 0.5000 0.0000 0.0000  2 Nb 2.39

Values from the calculation:
E: -6.42 eV/atom
space group: No. 123

[4]
KNb2FeSi: optimized geometry, PBE-GGA.
>>>



Del Mar Paddle Out

In late August friends and family gathered at 19th street in Del Mar-a favorite beach of Wendell and Mary Ellen. Flower leis were put together by the amazing Jenny Carmel and Bruce De Soto shared some of his music, and led us in singing, on the sand.

Mitchell and Mark and Bruce-friends and surfing buddies for over forty years (even if they have not surfed together since the late 1980s!) paddled out with Jenny, Rebecca, Nathaniel and Ellinore, Bill Gerber, and Al Tarkington (who swam out beyond the waves to join the circle).

Mary Ellen welcoming family and friends, giving thanks, sharing memories. With Mitchell, Rebecca, Mark, and Ellinore

Gathering at 19th Street, Del Mar, California

Paddling out: sharing Wendell (at least a part of him!) with the waters of the Pacific

Mary Ellen with kids looking out at the circle

Mitchell and Bruce making music on the sand of Del Mar

Rae Dawn and Bodie (the dog) and Nathaniel and Mark and Ellinore listening to the music

Brian Bub, Cap Pinney, Jerry Pinney,  Robin and Frank Pinney, and Donna Pinney Guske

Mary Ellen with Durango and Del Mar denizen Carol Ozaki

Mark and Mitchell

A Memory from Lollie McIntire

As you may know, my dad , Charlie McIntire, taught with Wendell at San Dieguito High School in Encinitas. 

Because it was San Dieguito, I was allowed to not only have my dad as a teacher, but also to work as his aide one semester, helping him with grades, organizing his office, etc. Coincidentally, that particular semester, Dad and his good buddy Wendell had the same prep period, which meant that I, as his teacher’s aide, got to hang out with my dad and your dad in the teacher’s lounge, drinking coffee no less, for at least the first twenty minutes of the hour.

Those are some of my favorite memories of high school! I’m sure it’s no surprise to you that every female on the face of the planet found Wendell attractive, including me at age 17, but that semester I actually got know him much better.

He and my dad would blow off steam talking about the students, the administration, politics, their wives ,and the general state of the world, and one comment was funnier than the next, to the point I would have trouble not peeing my pants, I would be laughing so hard! 

And then dad and I would go off to grade papers or do whatever, both in a better mood, and still laughing about whatever Wendell had said that day.

Wendell’s whole take on life was always so funny and relaxed that he was very good for my dad Charlie, who tended to stress too much about teaching, and who took every parent’s criticism to heart. I can just hear Wendell now, saying “Oh Charlie, just tell them to go to hell!” 

We were so sad when Wendell quit teaching, but so happy that your parents stayed close to their old friends here, and that we got to see them periodically. Thanks for the opportunity to re-live the good memories. We all loved Wendell.

Music for Dad

Below is a playlist of music from Mitchell. Enjoy!
